Army Col. Randy A. George meets with Afghan leaders and a U.S. State Department official to discuss ways to reconcile with Taliban and other Afghans who do not support the central government.
NANGARHAR PROVINCE, Afghanistan (Nov. 13, 2009) – Four provincial governors and a 21-member executive committee from the eastern Afghanistan peace and development jirga – a group of elders – met in the Nangarhar governor’s compound Nov. 10 to discuss the group’s charter and its top priorities.
Provincial governors, elders and religious leaders from Nangarhar, Kunar, Nuristan and Laghman provinces gathered to lay out their home-grown plan to improve security and development in the four easternmost Afghan provinces.
[Someone pasted records of crystals at this point]
┌──
# RbPa2NiO8

A geometry-optimized RbPa2NiO8 structure (PBE+U, Alexandria via LeMat-Bulk).

Volume in Å³ per cell: 183.7
Final energy in eV per atom: -7.39
Symmetry: No. 164

Cell: 5.048 5.048 8.322 Å, 90.00 90.00 120.00°
Atoms (fractional coordinates):
Rb  0.000  0.000  0.500
Pa  0.667  0.333  0.132
Pa  0.333  0.667  0.868
Ni  0.000  0.000  0.000
O  0.827  0.654  0.876
O  0.346  0.173  0.876
O  0.827  0.173  0.876
O  0.173  0.346  0.124
O  0.654  0.827  0.124
O  0.173  0.827  0.124
O  0.667  0.333  0.358
O  0.333  0.667  0.642

=====

# AlGePO2 (GGA-PBE, relaxed)
# E_form (uncorrected) = -0.887 eV per atom
# Energy above the lowest structure with this stoichiometry = 0.000 eV/atom
# Energy = -5.6244 eV/atom
data_AlGePO2
_chemical_formula_sum 'Al1 Ge1 P1 O2'
_symmetry_space_group_name_H-M 'P 4/m m m'
_symmetry_Int_Tables_number 123
_symmetry_space_group_name_Hall '-P 4 2'
_cell_length_a 3.595
_cell_length_b 3.595
_cell_length_c 5.345
_cell_angle_alpha 90.00
_cell_angle_beta 90.00
_cell_angle_gamma 90.00
loop_
_atom_site_label
_atom_site_type_symbol
_atom_site_fract_x
_atom_site_fract_y
_atom_site_fract_z
Al1 Al 0.000 0.000 0.000
Ge1 Ge 0.500 0.500 0.500
P1 P 0.000 0.000 0.500
O1 O 0.000 0.500 0.000

# AlGePO2 (GGA-PBE, relaxed)
# E_form (uncorrected) = -0.511 eV per atom
# Energy above the lowest structure with this stoichiometry = 0.376 eV/atom
# Energy = -5.2485 eV/atom
data_AlGePO2
_chemical_formula_sum 'Al1 Ge1 P1 O2'
_symmetry_space_group_name_H-M 'P 4/m m m'
_symmetry_Int_Tables_number 123
_symmetry_space_group_name_Hall '-P 4 2'
_cell_length_a 3.648
_cell_length_b 3.648
_cell_length_c 5.191
_cell_angle_alpha 90.00
_cell_angle_beta 90.00
_cell_angle_gamma 90.00
loop_
_atom_site_label
_atom_site_type_symbol
_atom_site_fract_x
_atom_site_fract_y
_atom_site_fract_z
Al1 Al 0.000 0.000 0.000
Ge1 Ge 0.500 0.500 0.500
P1 P 0.500 0.500 0.000
O1 O 0.000 0.500 0.500

=====

Material: La2TcIr
Method: DFT, PBE
State: relaxed

Computed properties:
- Calculated total energy: -7.3487 eV per atom
- Energy above the most stable polymorph in this dataset: 0.62 eV/f.u.
- Total magnetic moment: 0.00 μB per formula unit

a = 7.0387 Å, b = 7.0346 Å, c = 3.6870 Å
α = 90.00°, β = 90.20°, γ = 90.00°
Closest atoms and distances in Å follow each position.
Space group C2/m (No. 12)
One atom of each set of equivalent atoms:
La 0.2500 0.2500 0.0000 (multiplicity 4)  4 Tc 3.09-3.10, 4 Ir 3.09-3.10
Tc 0.0000 0.0000 0.5000 (multiplicity 2)  8 La 3.09-3.10
Ir 0.0000 0.5000 0.5000 (multiplicity 2)  8 La 3.09-3.10

Material: LaTcIr
Method: DFT, PBE
State: relaxed

Computed properties:
- Calculated total energy: -7.0505 eV per atom
- Energy above the most stable polymorph in this dataset: 3.52 eV/f.u.
- Total magnetic moment: 1.92 μB per formula unit

a = 6.4483 Å, b = 6.4483 Å, c = 6.4483 Å
α = 90.00°, β = 90.00°, γ = 90.00°
Closest atoms and distances in Å follow each position.
Space group F-43m (No. 216)
One atom of each set of equivalent atoms:
└──
[The entry goes on]
The group’s top priority is to find ways to reconcile with Taliban and other Afghans who do not support the central government.
“Today is a day of happiness, because we are working for future peace and development,” said Nangarhar Gov. Gul Agha Sherzai. “The main purpose today is to discuss the problems and work for the reconciliation in the eastern zone. We want to bring our brothers back to peace.”
Sherzai said many problems need resolution, and he called on the executive committee to rise to the challenge.
The committee’s main objective is to support President Hamid Karzai’s decree of national reconciliation.
“We’re ahead of what is happening elsewhere in Afghanistan, and it’s being noticed in Kabul,” said Kunar Gov. Fazlullah Wahidi. “We must reconcile with our brothers, because the fighting isn’t working.”
### Crystal structures, kept here for reference
........
RbLaPuBr6: relaxed, PBE.

The uncorrected formation energy comes out at -1.767 eV/atom. For the density of states at the Fermi level, the calculation gives 38.14 states/eV/cell. Its total energy is -92.33 eV for the cell shown.

The structure belongs to space group P-31c (No. 163); the cell edges are 7.7141, 7.7141 and 15.1245 Å and the angles 90.00°, 90.00° and 120.00°. The asymmetric unit holds Rb at (0.0000, 0.0000, 0.0000), La at (0.3333, 0.6667, 0.2500), Pu at (0.3333, 0.6667, 0.7500) and Br at (0.0008, 0.3695, 0.1371).

---

LaPuRhBr: relaxed, PBE.

The uncorrected formation energy comes out at -0.888 eV/atom. For the density of states at the Fermi level, the calculation gives 38.75 states/eV/cell. Its total energy is -95.51 eV for the cell shown.

The structure belongs to space group R3m (No. 160, hexagonal axes); the cell edges are 4.0368, 4.0368 and 24.0460 Å and the angles 90.00°, 90.00° and 120.00°. The asymmetric unit holds La at (0.0000, 0.0000, 0.0000), Pu at (0.0000, 0.0000, 0.7997), Rh at (0.0000, 0.0000, 0.4039) and Br at (0.0000, 0.0000, 0.2332).

---

Rb3LaBr8: relaxed, PBE.

The uncorrected formation energy comes out at -1.426 eV/atom. For the density of states at the Fermi level, the calculation gives 34.68 states/eV/cell. Its total energy is -76.65 eV for the cell shown.

The structure belongs to space group I4/mmm (No. 139); the cell edges are 7.761, 7.761 and 16.424 Å and the angles 90.00°, 90.00° and 90.00°. The asymmetric unit holds Rb at (0.000, 0.000, 0.000), Rb at (0.000, 0.500, 0.250), La at (0.000, 0.000, 0.500) and Br at (0.226, 0.226, 0.388).

---

RbLa2Br: relaxed, PBE.

The uncorrected formation energy comes out at 0.203 eV/atom. The value obtained for the polymorph energy (0 for the lowest one) is 275 meV/atom. For the density of states at the Fermi level, the calculation gives 16.65 states/eV/cell. Its total energy is -46.73 eV for the cell shown.

The structure belongs to space group Fm-3m (No. 225); the cell edges are 8.322, 8.322 and 8.322 Å and the angles 90.00°, 90.00° and 90.00°. The asymmetric unit holds Rb at (0.000, 0.000, 0.000), La at (0.250, 0.250, 0.250) and Br at (0.000, 0.000, 0.500).

---

Rb5La3Br12: relaxed, PBE.

The uncorrected formation energy comes out at -1.590 eV/atom. For the density of states at the Fermi level, the calculation gives 136.85 states/eV/cell. Its total energy is -571.92 eV for the cell shown.

The structure belongs to space group Ia-3d (No. 230); the cell edges are 19.070, 19.070 and 19.070 Å and the angles 90.00°, 90.00° and 90.00°. The asymmetric unit holds Rb at (0.000, 0.000, 0.000), Rb at (0.000, 0.250, 0.375), La at (0.000, 0.250, 0.125) and Br at (0.021, 0.094, 0.648).

---

RbLaBr4: relaxed, PBE.
........
### End of the crystal structures
Lagham Gov. Lutfullah Mashal told the committee that the regional jirga does not conflict with the laws or will of the national government.
“I believe what we do here is in agreement with the Afghan Constitution and will bridge the gap between the [religious] leaders, the government and the people,” Mashal said. “The jirga will have a strong relationship with Kabul.”
The jirga will help to address, over the long term, many of the economic, security and social problems in the eastern provinces, he added.
Army Col. Randy A. George, Task Force Mountain Warrior commander, attended the meetings as an observer and expressed support for the group.
“We’re pleased to see Afghan-led initiatives at the regional and subregional level that can help connect traditional structures to the government, and pursue local opportunities for progress,” George said. “We’re here to help and support such endeavors, where Afghans work together for greater prosperity and peace.”
The executive committee discussed its charter and mission statement, and voted in agreement on each tenet. Handling reconciliation, fighting narcotics and smuggling, rooting out corruption, helping with employment and social justice programs and coordinating on development projects are included in the charter.
== Someone pasted data records at this point ==
********
Below is a relaxed LiZn2 crystal, with properties calculated at the GGA-PBE level.

Unit cell a=4.353 b=4.353 c=5.263 alpha=90.00 beta=90.00 gamma=120.00
Element x y z (fractional)
1 Zn 0.667 0.333 0.750
2 Zn 0.000 0.000 0.000
3 Zn 0.000 0.000 0.500
4 Zn 0.333 0.667 0.250
5 Li 0.667 0.333 0.250
6 Li 0.333 0.667 0.750

Computed properties:
* calculated formation energy: -131 meV per atom
* energy: -1.62 eV per atom
* SG: P6_3/mmc (194)

~~~~~

Entry 1:
The following is a DFT calculation (GGA-PBE) of crystalline Mn2NbGe at its relaxed geometry.

For the total energy, the calculation gives -8.3879 eV per atom. Its space group is P4/mmm, No. 123.

a b c (Å): 4.127 4.127 3.136
angles (deg): 90.00 90.00 90.00
Fractional coordinates of all 4 atoms:
Mn: 0.000 0.500 0.000
Mn: 0.500 0.000 0.000
Nb: 0.000 0.000 0.500
Ge: 0.500 0.500 0.500



Entry 2:
The following is a DFT calculation (GGA-PBE) of crystalline MnNb2Ge2 at its relaxed geometry.

As for the energy above the lowest structure with this stoichiometry: 0.0 kJ per mole of atoms. Its space group is P4/mbm, No. 127.

a b c (Å): 6.620 6.620 3.678
angles (deg): 90.00 90.00 90.00
Fractional coordinates of all 10 atoms:
Mn: 0.000 0.000 0.000
Mn: 0.500 0.500 0.000
Nb: 0.170 0.330 0.500
Nb: 0.330 0.830 0.500
Nb: 0.670 0.170 0.500
Nb: 0.830 0.670 0.500
Ge: 0.135 0.635 0.000
Ge: 0.365 0.135 0.000
Ge: 0.635 0.865 0.000
Ge: 0.865 0.365 0.000



Entry 3:
The following is a DFT calculation (GGA-PBE) of crystalline MnNb2Ge2 at its relaxed geometry.

As for the energy above the lowest structure with this stoichiometry: 8.9 kJ per mole of atoms. Its space group is Cmc2_1, No. 36.

a b c (Å): 7.368 7.368 5.443
angles (deg): 90.00 90.00 146.41
Fractional coordinates of all 10 atoms:
Mn: 0.102 0.898 0.500
Mn: 0.898 0.102 0.000
Nb: 0.302 0.698 0.592
Nb: 0.498 0.502 0.800
Nb: 0.502 0.498 0.300
Nb: 0.698 0.302 0.092
Ge: 0.079 0.921 0.032
Ge: 0.320 0.680 0.091
Ge: 0.680 0.320 0.591
Ge: 0.921 0.079 0.532



Entry 4:
The following is a DFT calculation (GGA-PBE) of crystalline Mn2NbGe at its relaxed geometry.

For the total energy, the calculation gives -7.8591 eV per atom. Its space group is I-42d, No. 122.

a b c (Å): 5.566 5.566 5.566
angles (deg): 102.90 102.90 123.60
Fractional coordinates of all 8 atoms:
Mn: 0.106 0.625 0.981
Mn: 0.375 0.356 0.481
Mn: 0.644 0.125 0.019
Mn: 0.875 0.894 0.519
Nb: 0.250 0.750 0.500
Nb: 0.500 0.500 0.000
Ge: 0.000 0.000 0.000
Ge: 0.750 0.250 0.500



Entry 5:
The following is a DFT calculation (GGA-PBE) of crystalline Mn3Nb2Ge at its relaxed geometry.

For the total energy, the calculation gives -8.9671 eV per atom. Its space group is R-3m, No. 166.

a b c (Å): 4.925 4.925 4.925
angles (deg): 59.45 59.45 59.45
Fractional coordinates of all 6 atoms:
Mn: 0.000 0.500 0.500
Mn: 0.500 0.000 0.500
Mn: 0.500 0.500 0.000
Nb: 0.123 0.123 0.123
Nb: 0.877 0.877 0.877
Ge: 0.500 0.500 0.500



Entry 6:
The following is a DFT calculation (GGA-PBE) of crystalline Mn2Nb2Ge at its relaxed geometry.
********
The committee also agreed that the governors would support the jirga executive committee financially to execute the charter. After the meeting, the four governors dedicated with much fanfare a new office for the executive committee near the Nangarhar governor’s compound.
Sherzai told the executive committee to return in a week and bring their ideas, information and plans from their communities on what it will take to reconcile with “our sad brothers.”